[Input]
'''
{
  "formula": "CeThS2",
  "functional": "PBE-GGA",
  "state": "optimized geometry",
  "cell": [[-1.871, -3.454, -0.926], [1.144, -1.568, 3.538], [-4.778, 1.943, 2.406]],
  "species": ["Ce", "Th", "S", "S"],
  "fractional_positions": [[0.000, 0.000, 0.000], [0.500, 0.500, 0.500], [0.000, 0.000, 0.500], [0.500, 0.500, 0.000]],
  "delta_e_f_ev_per_atom": -2.20,
  "crystal_system": "tetragonal"
}


#i
! Li6V3P8O29 PBE+U optimized geometry; values from VASP
&SYSTEM
  ibrav = 0, nat = 92, ntyp = 4
/
ATOMIC_SPECIES
O 16.00 O.upf
V 50.94 V.upf
Li 6.94 Li.upf
P 30.97 P.upf
CELL_PARAMETERS angstrom
-9.812 0.000 0.000
4.882 8.527 0.000
-0.006 -0.012 -14.010
ATOMIC_POSITIONS crystal
O 0.252 0.918 0.839
O 0.321 0.804 0.673
V 0.436 0.437 0.251
O 0.998 0.793 0.750
O 0.084 0.748 0.341
Li 0.092 0.776 0.057
O 0.999 0.758 0.929
O 0.101 0.622 0.823
P 0.685 0.917 0.840
Li 0.764 0.095 0.440
O 0.329 0.251 0.157
O 0.004 0.251 0.070
O 0.773 0.011 0.924
V 0.565 0.569 0.753
O 0.183 0.508 0.672
P 0.230 0.320 0.843
Li 0.904 0.666 0.441
Li 0.665 0.765 0.562
O 0.206 0.010 0.421
O 0.487 0.116 0.174
O 0.511 0.327 0.330
O 0.773 0.769 0.429
O 0.921 0.662 0.161
O 0.998 0.227 0.431
O 0.183 0.667 0.172
O 0.919 0.249 0.657
Li 0.035 0.985 0.510
O 0.517 0.188 0.835
O 0.745 0.087 0.160
O 0.984 0.775 0.567
O 0.888 0.376 0.177
O 0.247 0.244 0.932
O 0.470 0.384 0.670
Li 0.100 0.333 0.562
O 0.003 0.212 0.249
O 0.669 0.920 0.340
Li 0.915 0.223 0.941
O 0.818 0.335 0.828
O 0.224 0.217 0.572
O 0.678 0.338 0.978
O 0.337 0.519 0.173
O 0.621 0.090 0.668
O 0.673 0.489 0.834
O 0.789 0.991 0.744
O 0.660 0.748 0.842
P 0.087 0.314 0.343
P 0.331 0.664 0.629
O 0.526 0.909 0.823
Li 0.335 0.233 0.444
P 0.088 0.770 0.839
P 0.770 0.677 0.157
O 0.250 0.000 0.064
Li 0.667 0.327 0.112
O 0.528 0.621 0.328
Li 0.224 0.316 0.059
O 0.205 0.990 0.241
O 0.254 0.338 0.343
P 0.666 0.332 0.372
O 0.486 0.675 0.670
O 0.908 0.530 0.667
O 0.378 0.480 0.824
O 0.325 0.649 0.523
O 0.384 0.924 0.336
O 0.332 0.664 0.025
P 0.332 0.667 0.131
Li 0.777 0.697 0.938
O 0.475 0.816 0.178
O 0.741 0.662 0.665
O 0.791 0.788 0.247
P 0.687 0.773 0.340
P 0.772 0.085 0.655
O 0.674 0.188 0.329
O 0.627 0.510 0.176
V 0.564 0.999 0.249
O 0.087 0.470 0.329
P 0.225 0.918 0.341
O 0.209 0.209 0.752
V 0.000 0.436 0.748
P 0.668 0.335 0.871
Li 0.318 0.089 0.934
P 0.318 0.229 0.661
O 0.810 0.488 0.333
P 0.909 0.231 0.159
V 0.432 0.996 0.747
V 0.001 0.567 0.254
P 0.319 0.089 0.155
O 0.345 0.088 0.666
O 0.661 0.329 0.478
O 0.775 0.998 0.565
O 0.082 0.335 0.844
O 0.758 0.748 0.066
P 0.910 0.686 0.658
! crystal system = triclinic
! total magnetic moment = 6.00 μB/cell

---

#ii
! Li6V3P8O29 PBE+U optimized geometry; values from VASP
&SYSTEM
  ibrav = 0, nat = 92, ntyp = 4
/
ATOMIC_SPECIES
O 16.00 O.upf
P 30.97 P.upf
V 50.94 V.upf
Li 6.94 Li.upf
CELL_PARAMETERS angstrom
8.641 3.764 -2.633
-3.807 -7.479 -5.056
-6.656 8.992 -8.394
ATOMIC_POSITIONS crystal
O 0.813 0.488 0.172
O 0.536 0.919 0.663
P 0.689 0.912 0.655
O 0.780 0.987 0.565
P 0.917 0.220 0.342
O 0.997 0.793 0.752
V 0.560 0.560 0.750
Li 0.666 0.906 0.440
Li 0.917 0.684 0.059
O 0.897 0.525 0.835
O 0.769 0.771 0.430
Li 0.094 0.768 0.445
O 0.619 0.528 0.326
P 0.220 0.918 0.160
Li 0.761 0.667 0.562
P 0.774 0.686 0.342
O 0.662 0.917 0.157
O 0.084 0.339 0.662
Li 0.667 0.766 0.939
O 0.992 0.780 0.934
O 0.671 0.342 0.021
P 0.082 0.774 0.659
O 0.185 0.526 0.825
P 0.316 0.220 0.843
O 0.473 0.093 0.329
O 0.917 0.377 0.332
O 0.479 0.372 0.831
P 0.220 0.308 0.660
O 0.078 0.458 0.164
V 0.001 0.558 0.249
P 0.683 0.770 0.157
P 0.781 0.091 0.839
O 0.084 0.620 0.668
V 0.437 0.996 0.750
O 0.342 0.816 0.821
O 0.337 0.254 0.343
O 0.210 0.013 0.079
O 0.997 0.201 0.070
P 0.667 0.335 0.128
O 0.380 0.462 0.668
O 0.744 0.080 0.337
O 0.659 0.742 0.661
O 0.672 0.488 0.673
V 0.000 0.436 0.750
O 0.775 0.997 0.928
O 0.630 0.105 0.829
O 0.513 0.324 0.167
O 0.525 0.619 0.172
Li 0.329 0.240 0.061
P 0.334 0.667 0.369
O 0.993 0.779 0.571
O 0.187 0.673 0.324
Li 0.048 0.030 0.986
O 0.345 0.080 0.839
O 0.486 0.810 0.327
'''

[To do]
Duplicate the whole of the entries above exactly.

[Written answer]
{
  "formula": "CeThS2",
  "functional": "PBE-GGA",
  "state": "optimized geometry",
  "cell": [[-1.871, -3.454, -0.926], [1.144, -1.568, 3.538], [-4.778, 1.943, 2.406]],
  "species": ["Ce", "Th", "S", "S"],
  "fractional_positions": [[0.000, 0.000, 0.000], [0.500, 0.500, 0.500], [0.000, 0.000, 0.500], [0.500, 0.500, 0.000]],
  "delta_e_f_ev_per_atom": -2.20,
  "crystal_system": "tetragonal"
}


#i
! Li6V3P8O29 PBE+U optimized geometry; values from VASP
&SYSTEM
  ibrav = 0, nat = 92, ntyp = 4
/
ATOMIC_SPECIES
O 16.00 O.upf
V 50.94 V.upf
Li 6.94 Li.upf
P 30.97 P.upf
CELL_PARAMETERS angstrom
-9.812 0.000 0.000
4.882 8.527 0.000
-0.006 -0.012 -14.010
ATOMIC_POSITIONS crystal
O 0.252 0.918 0.839
O 0.321 0.804 0.673
V 0.436 0.437 0.251
O 0.998 0.793 0.750
O 0.084 0.748 0.341
Li 0.092 0.776 0.057
O 0.999 0.758 0.929
O 0.101 0.622 0.823
P 0.685 0.917 0.840
Li 0.764 0.095 0.440
O 0.329 0.251 0.157
O 0.004 0.251 0.070
O 0.773 0.011 0.924
V 0.565 0.569 0.753
O 0.183 0.508 0.672
P 0.230 0.320 0.843
Li 0.904 0.666 0.441
Li 0.665 0.765 0.562
O 0.206 0.010 0.421
O 0.487 0.116 0.174
O 0.511 0.327 0.330
O 0.773 0.769 0.429
O 0.921 0.662 0.161
O 0.998 0.227 0.431
O 0.183 0.667 0.172
O 0.919 0.249 0.657
Li 0.035 0.985 0.510
O 0.517 0.188 0.835
O 0.745 0.087 0.160
O 0.984 0.775 0.567
O 0.888 0.376 0.177
O 0.247 0.244 0.932
O 0.470 0.384 0.670
Li 0.100 0.333 0.562
O 0.003 0.212 0.249
O 0.669 0.920 0.340
Li 0.915 0.223 0.941
O 0.818 0.335 0.828
O 0.224 0.217 0.572
O 0.678 0.338 0.978
O 0.337 0.519 0.173
O 0.621 0.090 0.668
O 0.673 0.489 0.834
O 0.789 0.991 0.744
O 0.660 0.748 0.842
P 0.087 0.314 0.343
P 0.331 0.664 0.629
O 0.526 0.909 0.823
Li 0.335 0.233 0.444
P 0.088 0.770 0.839
P 0.770 0.677 0.157
O 0.250 0.000 0.064
Li 0.667 0.327 0.112
O 0.528 0.621 0.328
Li 0.224 0.316 0.059
O 0.205 0.990 0.241
O 0.254 0.338 0.343
P 0.666 0.332 0.372
O 0.486 0.675 0.670
O 0.908 0.530 0.667
O 0.378 0.480 0.824
O 0.325 0.649 0.523
O 0.384 0.924 0.336
O 0.332 0.664 0.025
P 0.332 0.667 0.131
Li 0.777 0.697 0.938
O 0.475 0.816 0.178
O 0.741 0.662 0.665
O 0.791 0.788 0.247
P 0.687 0.773 0.340
P 0.772 0.085 0.655
O 0.674 0.188 0.329
O 0.627 0.510 0.176
V 0.564 0.999 0.249
O 0.087 0.470 0.329
P 0.225 0.918 0.341
O 0.209 0.209 0.752
V 0.000 0.436 0.748
P 0.668 0.335 0.871
Li 0.318 0.089 0.934
P 0.318 0.229 0.661
O 0.810 0.488 0.333
P 0.909 0.231 0.159
V 0.432 0.996 0.747
V 0.001 0.567 0.254
P 0.319 0.089 0.155
O 0.345 0.088 0.666
O 0.661 0.329 0.478
O 0.775 0.998 0.565
O 0.082 0.335 0.844
O 0.758 0.748 0.066
P 0.910 0.686 0.658
! crystal system = triclinic
! total magnetic moment = 6.00 μB/cell

---

#ii
! Li6V3P8O29 PBE+U optimized geometry; values from VASP
&SYSTEM
  ibrav = 0, nat = 92, ntyp = 4
/
ATOMIC_SPECIES
O 16.00 O.upf
P 30.97 P.upf
V 50.94 V.upf
Li 6.94 Li.upf
CELL_PARAMETERS angstrom
8.641 3.764 -2.633
-3.807 -7.479 -5.056
-6.656 8.992 -8.394
ATOMIC_POSITIONS crystal
O 0.813 0.488 0.172
O 0.536 0.919 0.663
P 0.689 0.912 0.655
O 0.780 0.987 0.565
P 0.917 0.220 0.342
O 0.997 0.793 0.752
V 0.560 0.560 0.750
Li 0.666 0.906 0.440
Li 0.917 0.684 0.059
O 0.897 0.525 0.835
O 0.769 0.771 0.430
Li 0.094 0.768 0.445
O 0.619 0.528 0.326
P 0.220 0.918 0.160
Li 0.761 0.667 0.562
P 0.774 0.686 0.342
O 0.662 0.917 0.157
O 0.084 0.339 0.662
Li 0.667 0.766 0.939
O 0.992 0.780 0.934
O 0.671 0.342 0.021
P 0.082 0.774 0.659
O 0.185 0.526 0.825
P 0.316 0.220 0.843
O 0.473 0.093 0.329
O 0.917 0.377 0.332
O 0.479 0.372 0.831
P 0.220 0.308 0.660
O 0.078 0.458 0.164
V 0.001 0.558 0.249
P 0.683 0.770 0.157
P 0.781 0.091 0.839
O 0.084 0.620 0.668
V 0.437 0.996 0.750
O 0.342 0.816 0.821
O 0.337 0.254 0.343
O 0.210 0.013 0.079
O 0.997 0.201 0.070
P 0.667 0.335 0.128
O 0.380 0.462 0.668
O 0.744 0.080 0.337
O 0.659 0.742 0.661
O 0.672 0.488 0.673
V 0.000 0.436 0.750
O 0.775 0.997 0.928
O 0.630 0.105 0.829
O 0.513 0.324 0.167
O 0.525 0.619 0.172
Li 0.329 0.240 0.061
P 0.334 0.667 0.369
O 0.993 0.779 0.571
O 0.187 0.673 0.324
Li 0.048 0.030 0.986
O 0.345 0.080 0.839
O 0.486 0.810 0.327